=====
No. 1
Entry from the Materials Project: an optimized crystal structure of Mo3WSe6S2 (GGA-PBE).

Results
**Formation energy from the elements**: -0.766 eV per atom
**Excess energy over the best structure of this formula in the dataset**: 17 meV per atom
**Crystal system**: trigonal
**Magnetization**: 0.0 Bohr magnetons per cell

Geometry as CIF:
```
data_Mo3WSe6S2
_symmetry_space_group_name_H-M 'P 3 m 1'
_symmetry_Int_Tables_number 156
_symmetry_space_group_name_Hall 'P 3 -2"'
_cell_length_a 3.2916
_cell_length_b 3.2916
_cell_length_c 37.4000
_cell_angle_alpha 90.00
_cell_angle_beta 90.00
_cell_angle_gamma 120.00
loop_
_atom_site_label
_atom_site_fract_x
_atom_site_fract_y
_atom_site_fract_z
Mo1 0.0000 0.0000 0.0000
Mo2 0.0000 0.0000 0.3757
Mo3 0.3333 0.6667 0.1879
W1 0.3333 0.6667 0.5637
Se1 0.0000 0.0000 0.1428
Se2 0.0000 0.0000 0.2330
Se3 0.0000 0.0000 0.5183
Se4 0.0000 0.0000 0.6090
Se5 0.3333 0.6667 0.3307
Se6 0.3333 0.6667 0.4208
S1 0.3333 0.6667 0.0410
S2 0.3333 0.6667 0.9590
```

=====

No. 2
Entry from the Materials Project: an optimized crystal structure of Li5Nb3OF18 (GGA-PBE).

Results
**Formation energy from the elements**: -3.250 eV per atom
**Crystal system**: tetragonal
**Magnetization**: 0.0 Bohr magnetons per cell

Geometry as CIF:
```
data_Li5Nb3OF18
_symmetry_space_group_name_H-M 'I 4 c m'
_symmetry_Int_Tables_number 108
_symmetry_space_group_name_Hall 'I 4 -2c'
_cell_length_a 12.931
_cell_length_b 12.931
_cell_length_c 8.252
_cell_angle_alpha 90.00
_cell_angle_beta 90.00
_cell_angle_gamma 90.00
loop_
_atom_site_label
_atom_site_fract_x
_atom_site_fract_y
_atom_site_fract_z
Li1 0.000 0.500 0.000
Li2 0.083 0.240 0.378
Nb1 0.000 0.000 0.124
Nb2 0.168 0.332 0.889
O1 0.000 0.000 0.341
F1 0.012 0.350 0.929
F2 0.023 0.148 0.086
F3 0.119 0.381 0.682
F4 0.120 0.200 0.807
F5 0.163 0.337 0.126
F6 0.222 0.278 0.452
```

~~~~~

1.
Entry from the Materials Project: a relaxed structure of SmSi (PBE-GGA).

Calculated values
DFT formation energy in eV/atom: -0.758

Lattice parameters (Å, degrees): 8.1598 3.9017 5.8425 90.00 90.00 90.00
With the nearest neighbours (Å) after each atom.
Fractional positions:
Sm 0.1796 0.2500 0.1145  7 Si 3.03-3.23
Sm 0.3204 0.7500 0.6145  7 Si 3.03-3.23
Sm 0.6796 0.2500 0.3855  7 Si 3.03-3.23
Sm 0.8204 0.7500 0.8855  7 Si 3.03-3.23
Si 0.0366 0.2500 0.6252  2 Si 2.51
Si 0.4634 0.7500 0.1252  2 Si 2.51
Si 0.5366 0.2500 0.8748  2 Si 2.51
Si 0.9634 0.7500 0.3748  2 Si 2.51


2.
Entry from the Materials Project: a relaxed structure of Ba3Sr (PBE-GGA).

Calculated values
Relative energy among the computed polymorphs in meV per atom: 13
DFT formation energy in eV/atom: 0.014

Lattice parameters (Å, degrees): 7.8510 7.8510 7.8510 133.04 133.04 68.59
With the nearest neighbours (Å) after each atom.
Fractional positions:
Ba 0.0000 0.0000 0.0000  4 Sr 4.42, 8 Ba 4.51
Ba 0.2500 0.7500 0.5000  8 Ba 4.42-4.51, 4 Sr 4.51
Ba 0.7500 0.2500 0.5000  8 Ba 4.42-4.51, 4 Sr 4.51
Sr 0.5000 0.5000 0.0000  12 Ba 4.42-4.51


3.
Entry from the Materials Project: a relaxed structure of Mn3CrTe4 (PBE-GGA).

Calculated values
Total magnetization in μB/f.u.: 16.52
DFT formation energy in eV/atom: -0.292

Lattice parameters (Å, degrees): 4.2162 4.2162 12.0612 90.00 90.00 120.00
With the nearest neighbours (Å) after each atom.
Fractional positions:
Mn 0.0000 0.0000 0.0000  6 Te 2.87, 2 Mn 2.95
Mn 0.0000 0.0000 0.2447  6 Te 2.82-2.91, 1 Mn 2.95, 1 Cr 3.08
Mn 0.0000 0.0000 0.7553  6 Te 2.82-2.91, 1 Mn 2.95, 1 Cr 3.08
Cr 0.0000 0.0000 0.5000  6 Te 2.85, 2 Mn 3.08
Te 0.3333 0.6667 0.3774  3 Cr 2.85, 3 Mn 2.91
Te 0.3333 0.6667 0.8741  6 Mn 2.82-2.87
Te 0.6667 0.3333 0.1259  6 Mn 2.82-2.87
Te 0.6667 0.3333 0.6226  3 Cr 2.85, 3 Mn 2.91


4.
Entry from the Materials Project: a relaxed structure of Na3La (PBE-GGA).

Calculated values
Relative energy among the computed polymorphs in meV per atom: 0
Total magnetization in μB/f.u.: 0.08
DFT formation energy in eV/atom: 0.290
=====

Please reproduce all of the calculation results further above without altering anything.

No. 1
Entry from the Materials Project: an optimized crystal structure of Mo3WSe6S2 (GGA-PBE).

Results
**Formation energy from the elements**: -0.766 eV per atom
**Excess energy over the best structure of this formula in the dataset**: 17 meV per atom
**Crystal system**: trigonal
**Magnetization**: 0.0 Bohr magnetons per cell

Geometry as CIF:
```
data_Mo3WSe6S2
_symmetry_space_group_name_H-M 'P 3 m 1'
_symmetry_Int_Tables_number 156
_symmetry_space_group_name_Hall 'P 3 -2"'
_cell_length_a 3.2916
_cell_length_b 3.2916
_cell_length_c 37.4000
_cell_angle_alpha 90.00
_cell_angle_beta 90.00
_cell_angle_gamma 120.00
loop_
_atom_site_label
_atom_site_fract_x
_atom_site_fract_y
_atom_site_fract_z
Mo1 0.0000 0.0000 0.0000
Mo2 0.0000 0.0000 0.3757
Mo3 0.3333 0.6667 0.1879
W1 0.3333 0.6667 0.5637
Se1 0.0000 0.0000 0.1428
Se2 0.0000 0.0000 0.2330
Se3 0.0000 0.0000 0.5183
Se4 0.0000 0.0000 0.6090
Se5 0.3333 0.6667 0.3307
Se6 0.3333 0.6667 0.4208
S1 0.3333 0.6667 0.0410
S2 0.3333 0.6667 0.9590
```

=====

No. 2
Entry from the Materials Project: an optimized crystal structure of Li5Nb3OF18 (GGA-PBE).

Results
**Formation energy from the elements**: -3.250 eV per atom
**Crystal system**: tetragonal
**Magnetization**: 0.0 Bohr magnetons per cell

Geometry as CIF:
```
data_Li5Nb3OF18
_symmetry_space_group_name_H-M 'I 4 c m'
_symmetry_Int_Tables_number 108
_symmetry_space_group_name_Hall 'I 4 -2c'
_cell_length_a 12.931
_cell_length_b 12.931
_cell_length_c 8.252
_cell_angle_alpha 90.00
_cell_angle_beta 90.00
_cell_angle_gamma 90.00
loop_
_atom_site_label
_atom_site_fract_x
_atom_site_fract_y
_atom_site_fract_z
Li1 0.000 0.500 0.000
Li2 0.083 0.240 0.378
Nb1 0.000 0.000 0.124
Nb2 0.168 0.332 0.889
O1 0.000 0.000 0.341
F1 0.012 0.350 0.929
F2 0.023 0.148 0.086
F3 0.119 0.381 0.682
F4 0.120 0.200 0.807
F5 0.163 0.337 0.126
F6 0.222 0.278 0.452
```

~~~~~

1.
Entry from the Materials Project: a relaxed structure of SmSi (PBE-GGA).

Calculated values
DFT formation energy in eV/atom: -0.758

Lattice parameters (Å, degrees): 8.1598 3.9017 5.8425 90.00 90.00 90.00
With the nearest neighbours (Å) after each atom.
Fractional positions:
Sm 0.1796 0.2500 0.1145  7 Si 3.03-3.23
Sm 0.3204 0.7500 0.6145  7 Si 3.03-3.23
Sm 0.6796 0.2500 0.3855  7 Si 3.03-3.23
Sm 0.8204 0.7500 0.8855  7 Si 3.03-3.23
Si 0.0366 0.2500 0.6252  2 Si 2.51
Si 0.4634 0.7500 0.1252  2 Si 2.51
Si 0.5366 0.2500 0.8748  2 Si 2.51
Si 0.9634 0.7500 0.3748  2 Si 2.51


2.
Entry from the Materials Project: a relaxed structure of Ba3Sr (PBE-GGA).

Calculated values
Relative energy among the computed polymorphs in meV per atom: 13
DFT formation energy in eV/atom: 0.014

Lattice parameters (Å, degrees): 7.8510 7.8510 7.8510 133.04 133.04 68.59
With the nearest neighbours (Å) after each atom.
Fractional positions:
Ba 0.0000 0.0000 0.0000  4 Sr 4.42, 8 Ba 4.51
Ba 0.2500 0.7500 0.5000  8 Ba 4.42-4.51, 4 Sr 4.51
Ba 0.7500 0.2500 0.5000  8 Ba 4.42-4.51, 4 Sr 4.51
Sr 0.5000 0.5000 0.0000  12 Ba 4.42-4.51


3.
Entry from the Materials Project: a relaxed structure of Mn3CrTe4 (PBE-GGA).

Calculated values
Total magnetization in μB/f.u.: 16.52
DFT formation energy in eV/atom: -0.292

Lattice parameters (Å, degrees): 4.2162 4.2162 12.0612 90.00 90.00 120.00
With the nearest neighbours (Å) after each atom.
Fractional positions:
Mn 0.0000 0.0000 0.0000  6 Te 2.87, 2 Mn 2.95
Mn 0.0000 0.0000 0.2447  6 Te 2.82-2.91, 1 Mn 2.95, 1 Cr 3.08
Mn 0.0000 0.0000 0.7553  6 Te 2.82-2.91, 1 Mn 2.95, 1 Cr 3.08
Cr 0.0000 0.0000 0.5000  6 Te 2.85, 2 Mn 3.08
Te 0.3333 0.6667 0.3774  3 Cr 2.85, 3 Mn 2.91
Te 0.3333 0.6667 0.8741  6 Mn 2.82-2.87
Te 0.6667 0.3333 0.1259  6 Mn 2.82-2.87
Te 0.6667 0.3333 0.6226  3 Cr 2.85, 3 Mn 2.91


4.
Entry from the Materials Project: a relaxed structure of Na3La (PBE-GGA).

Calculated values
Relative energy among the computed polymorphs in meV per atom: 0
Total magnetization in μB/f.u.: 0.08
DFT formation energy in eV/atom: 0.290